Obama and His Dinosaur in Trinidad

It's becoming a pattern: whenever Barack Obama implements a campaign pledge, the dinosaurs used to running things push back. The latest dinosaur to undercut the president's gestures is Jeffrey Davidow, US coordinator of the Trinidad meeting, who claimed that Hugo Chavez wanted a photo with Obama to polish his reputation with Venezuelans.
Obama is more popular than Chavez in Venezuela, Davidow added, which explains his rushing photos of their handshake to the Venezuelan government's website. [ABC News, April 18] He also managed to disparage Chavez's presentation of a book by Eduardo Galleano to Obama as unnecessary since the president already was familiar with Latin American grievances.
While Obama was pressing for a new diplomacy, Davidow was practicing the old. He added for good measure that Brazil, Chile, Peru and Colombia are "forward-looking, not backward-looking" Latin American countries, and described the unanimous demand for normalization of US ties to Cuba as "part of the historical baggage that Latin America carried with it and is almost a reflexive suspicion or anti-Americanism."
If Davidow was hoping to provoke an unproductive reaction from the Venezuelans, he failed, at least on Saturday. But his spoiler comments were in stark contrast to a president pledged to listening, dialogue and respect. Obama's modest relaxation of restrictions on travel and remittances to Cuba, combined with his Justice Department's prosecution of the anti-Castro terrorist Luis Posades Carrillo, has unleashed a momentum for policy change that may be unstoppable.
Who is Jeffrey Davidow? It might be fair to ask, who really knows? He was a political officer at the US embassy in Chile from 1971-74, during the carrying out of the coup and repression against the democratically-elected government of Salvador Allende. In a March 3, 1974 memo, later declassified, Davidow wrote to Chilean officials of a "conspiracy on the part of the enemies of Chile to paint the junta in the worst possible terms." [Boston Phoenix, Dec. 16-23, 1999]
Later Davidow was ambassador to Mexico during the Chiapas crisis, where he told the Mexican media "we don't know of any [right-wing] paramilitary groups in Chiapas." [Boston Phoenix, Dec. 16-23, 1999].
Davidow was ambassador to Venezuela from 1993 to 1996, defending the social order which fell to the Chavez political revolution two years later.
He retired from government in 2003 to head the Institute of the Americas, which describes itself as being "recognized as a leader in promoting regional integration, economic development and efficient government in the western hemisphere." The Institute's board is heavy with energy firms, real estate investors, and San Diego-based research entities, including Chevron, Sempra LNG, Skanska [pipelines], the Barrick Gold Corporation [Canada], J.P. Morgan, Petrobras Energy [Argentina], and the Oil Industry Association of Ecuador.
In September 2007, Davidow chaired the regional meeting of the Trilateral Commission in Cancun, where he criticized what he called the "creeping coup" happening through the democratic election of Chavez in Venezuela. It was a strange turn of phrase since Chavez had been the target of an actual coup in earlier years. In moderating a panel, Davidow explained the democratic election of Chavez as a "creeping coup" as follows:
Molecular data, kept here for reference =
/*
A structure of composition C42H38BN8S3Ta, computed with ωB97M-V/def2-TZVPD.

Its maximum force is 0.8 eV/A. Its charge is +4. Its total energy is -3336.2456 Eh.

Last column: Löwdin charge in e.
CARTESIAN COORDINATES (ANGSTROEM)
Ta -0.23 2.53 -0.11  1.78
N 1.26 1.49 -0.51  -0.43
S 2.17 0.25 -0.25  0.92
N 1.40 -0.89 0.56  -0.35
S 0.21 -1.75 -0.05  0.94
N -1.00 -0.95 -0.57  -0.36
S -2.21 0.01 -0.28  0.91
N -1.77 1.49 -0.45  -0.42
C -3.40 -0.40 -1.49  -0.36
C -3.58 0.47 -2.57  -0.05
C -4.50 0.10 -3.55  -0.02
C -5.19 -1.10 -3.43  0.00
C -4.99 -1.94 -2.35  -0.01
C -4.09 -1.60 -1.36  -0.05
C -2.98 -0.17 1.28  -0.33
C -2.26 -0.60 2.39  -0.07
C -2.90 -0.62 3.62  -0.03
C -4.22 -0.22 3.73  0.00
C -4.92 0.22 2.61  -0.01
C -4.31 0.25 1.37  -0.03
C -0.17 -2.88 1.23  -0.36
C -1.24 -3.73 0.98  -0.05
C -1.57 -4.67 1.94  -0.01
C -0.83 -4.75 3.11  0.00
C 0.25 -3.91 3.33  -0.02
C 0.60 -2.95 2.39  -0.06
C 0.71 -2.71 -1.43  -0.33
C 1.72 -3.65 -1.19  -0.06
C 2.10 -4.48 -2.22  -0.02
C 1.47 -4.38 -3.46  0.00
C 0.48 -3.44 -3.68  -0.02
C 0.08 -2.59 -2.66  -0.04
C 3.50 0.67 0.80  -0.34
C 4.60 1.31 0.22  -0.04
C 5.62 1.73 1.06  -0.01
C 5.53 1.52 2.43  0.00
C 4.42 0.89 2.99  -0.02
C 3.39 0.46 2.17  -0.06
C 2.82 -0.31 -1.77  -0.36
C 2.33 0.21 -2.96  -0.05
C 2.87 -0.26 -4.15  -0.02
C 3.86 -1.23 -4.13  0.00
C 4.33 -1.75 -2.92  -0.02
C 3.81 -1.29 -1.72  -0.06
H -3.06 1.41 -2.62  0.10
H -4.67 0.75 -4.39  0.13
H -5.91 -1.37 -4.20  0.14
H -5.55 -2.86 -2.27  0.13
H -3.95 -2.24 -0.50  0.12
H -1.23 -0.92 2.31  0.08
H -2.36 -0.97 4.50  0.13
H -4.72 -0.25 4.69  0.14
H -5.95 0.53 2.70  0.14
H -4.85 0.59 0.50  0.13
H -1.80 -3.67 0.05  0.12
H -2.39 -5.35 1.77  0.13
H -1.08 -5.50 3.85  0.14
H 0.84 -4.00 4.24  0.13
H 1.45 -2.31 2.54  0.10
H 2.18 -3.74 -0.21  0.13
H 2.87 -5.23 -2.06  0.13
H 1.76 -5.05 -4.26  0.13
H 0.00 -3.38 -4.65  0.13
H -0.71 -1.87 -2.81  0.11
H 4.67 1.47 -0.85  0.13
H 6.49 2.21 0.64  0.14
H 6.34 1.84 3.07  0.14
H 4.37 0.72 4.05  0.13
H 2.53 -0.05 2.59  0.09
H 1.57 0.98 -2.97  0.10
H 2.52 0.14 -5.09  0.13
H 4.28 -1.59 -5.06  0.14
H 5.11 -2.50 -2.92  0.14
H 4.18 -1.68 -0.78  0.14
B -0.54 5.61 1.48  -0.30
N -0.33 4.25 2.30  -0.05
C -0.31 4.26 3.62  0.00
C -0.11 2.96 4.11  0.03
C 0.00 2.17 3.00  -0.10
N -0.14 2.95 1.88  -0.16
N -0.39 5.49 -0.11  -0.05
C -0.42 6.56 -0.87  0.00
C -0.38 6.20 -2.23  0.03
C -0.33 4.84 -2.24  -0.08
N -0.34 4.38 -0.94  -0.19
H 0.31 6.36 1.84  0.09
H -1.66 5.97 1.70  0.09
H -0.43 5.19 4.15  0.16
H -0.04 2.66 5.14  0.13
H 0.16 1.11 2.91  0.10
H -0.47 7.54 -0.43  0.16
H -0.39 6.87 -3.08  0.14
H -0.28 4.16 -3.07  0.13

* * * * *

1.
ORCA calculation (ωB97M-V with the def2-TZVPD basis set) on a cluster of 2 separate species, C6H13O2 in total in a non-equilibrium geometry.

```
21
Properties=species:S:1:pos:R:3:forces:R:3
C -0.508030 0.606208 -2.384362 -0.28 -1.80 2.26
O 0.295658 0.275750 -3.361004 0.57 0.42 -0.45
C 0.191093 0.322914 -0.887343 -0.55 -0.28 -2.45
C -0.491097 0.884623 0.347144 1.85 0.48 0.52
C 0.290676 0.437811 1.578974 0.50 0.12 -0.46
*/
"What do other countries do when a country votes itself out of democracy? It's an interesting question. At least it's interesting to me."
He also warned of the dangerous threat to future oil supplies from Venezuela resulting from the "creeping coup":
"What does it mean when the previous principle providers of petroleum to the US suffer declines in their production levels?"
Davidow added the question of what to do with a democratic country which also has become "a major transshipment point for drugs to the US and Europe", a claim meant to insist on the "integration" of American Drug Enforcement Agency operatives on the ground in Venezuela.
These were explosive questions, all but suggesting the need for a Cold War against Caracas, if not regime change.
Why Obama named Davidow to head the US presence at Trinidad remains to be explored. But it suggests a trademark Obama approach, to reassure the old guard and seek their approval of and participation in his proposed new directions. Seeming defensive about his role, Davidow tried to wrap himself in the pages of the once-liberal Washington Post in an exchange with Steve Clemon of the New America Foundation on April 10:
"And lest you think, and I'm sure some of you do, that I am some sort of ideologue on this, take a look at the lead editorial in today's Washington Post. Maybe you think they are a bunch of ideologues as well, but I think they say it much better than I do." [Talk Left, April 10]
TOM HAYDEN is the author of The Long Sixties, From 1960 to Barack Obama [Paradigm, August 2009]
This article appeared in The Huffington Post on April 19,2009